Probably the biggest piece of news is that I'm participating in the
Bead Star competition. I've got six pieces up in the finalist round in the plastics, pearls, metals, designs with heart, under $25, and crystals categories. If you get a chance please swing by and vote! There are lots of really beautiful designs to choose from. So I know that voting will be difficult. I will say that I'm particularly proud of all of my pieces and hope you like them too! Voting ends June 9th, so be sure to vote before then to make your vote count!
[Here the text breaks off for materials data]
'''
Entry from the Open Quantum Materials Database: a relaxed GaReNi crystal (PBE-GGA).

```
3
Lattice="0.000 2.900 2.900 2.900 0.000 2.900 2.900 2.900 0.000" Properties=species:S:1:pos:R:3 pbc="T T T"
Ga 1.450 1.450 1.450
Ni 4.350 4.350 4.350
Re 0.000 0.000 0.000
```

- crystal system = cubic
- theoretical density (g cm⁻³) = 10.7
- size of the total moment (μB per atom) = 0.0045
- VASP energy (eV per atom) = -6.310

~~~~~

Below is a relaxed Pr4Dy11Ho9 crystal, with properties calculated at the PBE level.

The structure belongs to space group Cmmm (No. 65); the cell edges are 16.3060, 26.4125 and 3.6034 Å and the angles 90.00°, 90.00° and 90.00°. The distinct sites, in fractional coordinates, are Pr at (0.1710, 0.0883, 0.0000), Dy at (0.0000, 0.1242, 0.5000), Dy at (0.0000, 0.3131, 0.5000), Dy at (0.0000, 0.5000, 0.5000), Dy at (0.2108, 0.5000, 0.5000), Dy at (0.2186, 0.3139, 0.5000), Ho at (0.0000, 0.0000, 0.0000), Ho at (0.1063, 0.2197, 0.0000) and Ho at (0.1090, 0.4062, 0.0000).

The formation energy comes out at 0.0428 eV per atom.

---

Below is a relaxed SrTi2Ru crystal, with properties calculated at the PBE level.

The structure belongs to space group Fm-3m (No. 225); the cell edges are 6.7087, 6.7087 and 6.7087 Å and the angles 90.00°, 90.00° and 90.00°. The distinct sites, in fractional coordinates, are Sr at (0.0000, 0.0000, 0.0000), Ti at (0.2500, 0.2500, 0.2500) and Ru at (0.0000, 0.0000, 0.5000).

The formation energy comes out at 0.4765 eV per atom. Its energy above the most stable polymorph in this dataset is 0.0 meV/atom.

---

Below is a relaxed Te2As crystal, with properties calculated at the PBE level.

The structure belongs to space group C2/m (No. 12); the cell edges are 11.7898, 3.4553 and 9.7817 Å and the angles 90.00°, 102.21° and 90.00°. The distinct sites, in fractional coordinates, are Te at (0.1022, 0.0000, 0.3179), Te at (0.1654, 0.5000, 0.7003) and As at (0.1726, 0.5000, 0.9762).

Its energy above the most stable polymorph in this dataset is 58.4 meV/atom. The uncorrected formation energy comes out at 0.098 eV per atom.

---

Below is a relaxed Pm4Si2H crystal, with properties calculated at the PBE level.

The structure belongs to space group P2_1/m (No. 11); the cell edges are 6.4365, 6.5000 and 8.6612 Å and the angles 90.00°, 109.37° and 90.00°. The distinct sites, in fractional coordinates, are Pm at (0.0121, 0.0004, 0.2649), Pm at (0.4083, 0.2500, 0.0896), Pm at (0.4320, 0.2500, 0.6215), Si at (0.2141, 0.7500, 0.0481), Si at (0.2647, 0.7500, 0.5721) and H at (0.2509, 0.2500, 0.8109).

Its energy above the most stable polymorph in this dataset is 0.0 meV/atom.

---

Below is a relaxed PmScTe crystal, with properties calculated at the PBE level.
'''

• Materials data that have nothing to do with the piece:
- - -
Below is a relaxed structure of Li2CuSn, with properties calculated at the GGA-PBE level.

Cell: 3.8884 3.8884 4.3810 Å, 90.00 90.00 90.00°
Atoms (fractional coordinates):
Li (0.0000, 0.5000, 0.0000)
Li (0.5000, 0.0000, 0.0000)
Cu (0.0000, 0.0000, 0.5000)
Sn (0.5000, 0.5000, 0.5000)

* ρ: 4917 kg/m3
* calculated total energy: -0.2341 Ry/atom
* energy of formation from the pure elements: -203 meV/atom
* magnetization: 0.00 μB per cell
* space group: No. 123

~~~~~

1.
Here is an optimized crystal structure of Pr2Gd from Alexandria via LeMat-Bulk. Energies are from PBE.

Results
Total magnetic moment   7.8 μB/cell
SG   I4/mmm (139)
Energy relative to the lowest polymorph listed for this composition   0 meV/atom

Cell: 4.303 4.303 6.451 Å, 109.49 109.49 90.00°
Element x y z (fractional)
1 Pr 0.840 0.840 0.679
2 Pr 0.160 0.160 0.321
3 Gd 0.500 0.500 0.000

---

2.
Here is an optimized crystal structure of Er4ZnAu3 from Alexandria via LeMat-Bulk. Energies are from PBE.

Results
Total magnetic moment   0.0 μB/cell
SG   Pmm2 (25)
Energy relative to the lowest polymorph listed for this composition   12 meV/atom

Cell: 3.682 4.637 10.924 Å, 90.00 90.00 90.00°
Element x y z (fractional)
1 Er 0.500 0.500 0.360
2 Er 0.500 0.000 0.640
3 Er 0.000 0.500 0.858
4 Er 0.000 0.000 0.140
5 Zn 0.500 0.500 0.082
6 Au 0.000 0.000 0.412
7 Au 0.000 0.500 0.588
8 Au 0.500 0.000 0.920

---

3.
Here is an optimized crystal structure of Rb3Na3ZnCl8 from Alexandria via LeMat-Bulk. Energies are from PBE.

Results
Total magnetic moment   0.0 μB/cell
SG   R-3m (166)
Formation energy without anion corrections   -1.69 eV per atom

Cell: 8.329 8.333 8.890 Å, 117.97 90.00 119.98°
Element x y z (fractional)
1 Rb 0.000 0.500 0.000
2 Rb 0.000 0.000 0.000
3 Rb 0.500 0.500 0.000
4 Cl 0.736 0.473 0.709
5 Cl 0.769 0.978 0.687
6 Cl 0.791 0.022 0.313
7 Cl 0.791 0.581 0.313
8 Cl 0.209 0.978 0.687
9 Cl 0.209 0.419 0.687
10 Cl 0.231 0.022 0.313
11 Cl 0.264 0.527 0.291
12 Zn 0.000 0.000 0.500
13 Na 0.500 0.500 0.500
14 Na 0.500 0.000 0.500
15 Na 0.000 0.500 0.500

---

4.
Here is an optimized crystal structure of Ac4TmCd5 from Alexandria via LeMat-Bulk. Energies are from PBE.

Results
Total magnetic moment   0.1 μB/cell
SG   P4/mmm (123)
Final energy   -2.83 eV/atom

Cell: 3.979 3.979 20.233 Å, 90.00 90.00 90.00°
Element x y z (fractional)
1 Cd 0.500 0.500 0.500
2 Cd 0.500 0.500 0.080
3 Cd 0.500 0.500 0.920
4 Cd 0.500 0.500 0.707
5 Cd 0.500 0.500 0.293
6 Ac 0.000 0.000 0.604
7 Ac 0.000 0.000 0.812
8 Ac 0.000 0.000 0.188
9 Ac 0.000 0.000 0.396
10 Tm 0.000 0.000 0.000

---

5.
Here is an optimized crystal structure of Tb12CeHo7 from Alexandria via LeMat-Bulk. Energies are from PBE.

Results
Total magnetic moment   3.1 μB/cell
SG   R-3m (166)
Energy relative to the lowest polymorph listed for this composition   0 meV/atom

Cell: 8.721 8.721 8.721 Å, 98.55 98.55 98.55°
Element x y z (fractional)
1 Ce 0.000 0.000 0.000
2 Tb 0.239 0.761 0.500
3 Tb 0.500 0.761 0.239
4 Tb 0.357 0.357 0.088
- - -
• The materials data stop here:
In other news, plans for some super secret ventures are firming up and I should be able to talk about it all in a few months. I'm really excited about it. Getting the funds together to make things happen (on the scale that I'm envisioning) is problematic, but I'm confident that things will come together. So, cross your fingers!
For the past few months I've been in serious conversation about creating a craft book. After working on my sister's book, I've decided that it has to be a topic that I'm really passionate about and is something that people are interested in. If you were to see a craft book by me, what would you like to see? What topics are out there that you're dying to see more of? I don't want to create a forgettable book that's redundant.
# These calculated crystals were left in the entry by mistake
/*
No. 1
The following is a GGA-PBEsol calculation of an optimized crystal structure of TcWSe2, from Alexandria via LeMat-Bulk.

Cell lengths 4.829, 4.829, 4.829 Å; angles 131.12, 131.12, 71.62 degrees
Atoms (fractional coordinates):
Tc1 0.000 0.000 0.000
W1 0.750 0.250 0.500
Se1 0.250 0.750 0.500
Se2 0.500 0.500 0.000

Properties
Symmetry: I-4m2 (119)
Energy relative to the lowest polymorph listed for this composition: 0 meV per atom
DOS at the Fermi energy: 2.27 states/eV/cell
Formation energy (no corrections): 551 meV/atom
Calculated density: 11.7 g cm⁻³
Uncorrected energy: -7.642 eV per atom

=====

No. 2
The following is a GGA-PBEsol calculation of an optimized crystal structure of Y2TcSe, from Alexandria via LeMat-Bulk.

Cell lengths 3.698, 4.335, 5.654 Å; angles 90.00, 90.00, 90.00 degrees
Atoms (fractional coordinates):
Y1 0.000 0.000 0.000
Y2 0.500 0.500 0.435
Tc1 0.000 0.000 0.452
Se1 0.500 0.500 0.933

Properties
Symmetry: Pmm2 (25)
DOS at the Fermi energy: 3.67 states/eV/cell
Formation energy (no corrections): -472 meV/atom
Calculated density: 6.5 g cm⁻³
Uncorrected energy: -7.663 eV per atom

=====

No. 3
The following is a GGA-PBEsol calculation of an optimized crystal structure of YTc2Se, from Alexandria via LeMat-Bulk.

Cell lengths 4.585, 4.585, 4.585 Å; angles 60.00, 60.00, 60.00 degrees
Atoms (fractional coordinates):
Y1 0.000 0.000 0.000
Tc1 0.250 0.250 0.250
Tc2 0.500 0.500 0.500
Se1 0.750 0.750 0.750

Properties
Symmetry: F-43m (216)
DOS at the Fermi energy: 5.84 states/eV/cell
Formation energy (no corrections): 236 meV/atom
Calculated density: 8.9 g cm⁻³
Uncorrected energy: -8.065 eV per atom

=====

No. 4
The following is a GGA-PBEsol calculation of an optimized crystal structure of YTc2Se, from Alexandria via LeMat-Bulk.

Cell lengths 3.382, 4.879, 4.395 Å; angles 90.00, 91.87, 90.00 degrees
Atoms (fractional coordinates):
Y1 0.000 0.000 0.000
Tc1 0.343 0.500 0.748
Tc2 0.657 0.500 0.252
Se1 0.500 0.000 0.500

Properties
Symmetry: P2/m (10)
DOS at the Fermi energy: 3.52 states/eV/cell
Formation energy (no corrections): -30 meV/atom
Calculated density: 8.3 g cm⁻³
Uncorrected energy: -8.331 eV per atom

=====

No. 5
The following is a GGA-PBEsol calculation of an optimized crystal structure of YTc2Se, from Alexandria via LeMat-Bulk.

Cell lengths 3.468, 4.045, 4.933 Å; angles 90.00, 90.00, 90.00 degrees
Atoms (fractional coordinates):
Y1 0.000 0.000 0.000
Tc1 0.000 0.500 0.500
Tc2 0.500 0.000 0.500
Se1 0.500 0.500 0.000

Properties
Symmetry: Pmmm (47)
DOS at the Fermi energy: 2.67 states/eV/cell
Formation energy (no corrections): -13 meV/atom
Calculated density: 8.7 g cm⁻³
Uncorrected energy: -8.315 eV per atom

=====

No. 6
The following is a GGA-PBEsol calculation of an optimized crystal structure of YTc2Se, from Alexandria via LeMat-Bulk.

Cell lengths 5.652, 5.652, 5.652 Å; angles 141.42, 141.42, 55.71 degrees
Atoms (fractional coordinates):
Y1 0.000 0.000 0.000
Tc1 0.250 0.750 0.500
Tc2 0.750 0.250 0.500
*/
The other day I got the nicest email from one of the customers at a show I did several months ago. The encounter was memorable. The show wasn't that busy and we spent a lot of time talking about different techniques that she could incorporate into her work and the following day she brought a project that she was having trouble with and we worked out the kinks. The customer asked if I was considering ever teaching a "real" class. I've been reluctant to teach in the past, even though I love working with people and creative problem-solving. There are so many really great teachers out there already also. So... would you take a class from me? What kind of class would you be interested in taking? Do you like classes that are more technique based, project oriented, or idea workshops? Do you like classes that are short and sweet? Or longer ones? Perhaps a retreat? A couple of the bead personalities have been talking about having a bead retreat, leaf-looking and wine-tasting extravaganza in the autumn in upstate New York... is this something you'd be interested in attending? If you went, would you want to take classes? Have work time? Or just have fun?
The last thing that I've been working on and planning is a finished line of jewelry. I don't really sell my finished work and when I do, it's usually custom pieces that can get pretty pricey. The line I'm working on would be simpler in design and much more affordable. Would this be something that you'd be interested in buying or seeing?
I know it's a lot to ponder. I've been wracking my brain a lot and working over-time to really flesh out some of these ideas. As you can imagine, it's been a busy time around here.